(Work order)
It remains to reproduce the whole of the contents below without altering anything.
(Contents)
~~~
[1]
Calculated powder XRD pattern of Pd6Pt16Rh7 for λ = 1.5418 Å (Cu Kα), from the PBE geometry in Alexandria.

Structure:
Cell: 8.7771 8.7771 8.7771 Å, 60.00 60.00 60.00°
Positions (direct):
Pd1 0.2282 0.2282 0.7718
Pd2 0.2282 0.7718 0.2282
Pd3 0.2282 0.7718 0.7718
Pd4 0.7718 0.2282 0.2282
Pd5 0.7718 0.2282 0.7718
Pd6 0.7718 0.7718 0.2282
Pt1 0.1298 0.6234 0.6234
Pt2 0.1492 0.1492 0.1492
Pt3 0.1492 0.1492 0.5524
Pt4 0.1492 0.5524 0.1492
Pt5 0.3766 0.3766 0.3766
Pt6 0.3766 0.3766 0.8702
Pt7 0.3766 0.8702 0.3766
Pt8 0.4476 0.8508 0.8508
Pt9 0.5524 0.1492 0.1492
Pt10 0.6234 0.1298 0.6234
Pt11 0.6234 0.6234 0.1298
Pt12 0.6234 0.6234 0.6234
Pt13 0.8508 0.4476 0.8508
Pt14 0.8508 0.8508 0.4476
Pt15 0.8508 0.8508 0.8508
Pt16 0.8702 0.3766 0.3766
Rh1 0.0000 0.0000 0.5000
Rh2 0.0000 0.5000 0.0000
Rh3 0.0000 0.5000 0.5000
Rh4 0.5000 0.0000 0.0000
Rh5 0.5000 0.0000 0.5000
Rh6 0.5000 0.5000 0.0000
Rh7 0.5000 0.5000 0.5000

Largest 10 diffraction maxima, sorted by position, 15° ≤ 2θ ≤ 90°:
- 28.8 deg, intensity 17.1
- 37.7 deg, intensity 15.0
- 41.1 deg, intensity 100.0
- 43.1 deg, intensity 7.3
- 57.0 deg, intensity 6.8
- 59.6 deg, intensity 12.4
- 72.7 deg, intensity 6.0
- 75.0 deg, intensity 21.6
- 79.9 deg, intensity 7.1
- 89.3 deg, intensity 6.2

---

[2]
Calculated powder XRD pattern of NaLiCu2 for λ = 1.5418 Å (Cu Kα), from the PBE geometry in Alexandria.

Structure:
Cell: 9.2357 9.2357 9.2357 Å, 150.93 150.93 41.57°
Positions (direct):
Na1 0.3750 0.6250 0.7500
Na2 0.6250 0.3750 0.2500
Li1 0.1250 0.8750 0.2500
Li2 0.8750 0.1250 0.7500
Cu1 0.0000 0.0000 0.0000
Cu2 0.0000 0.0000 0.5000
Cu3 0.0000 0.5000 0.0000
Cu4 0.5000 0.0000 0.5000

Largest 10 diffraction maxima, sorted by position, 15° ≤ 2θ ≤ 90°:
- 19.8 deg, intensity 75.7
- 20.6 deg, intensity 65.8
- 24.7 deg, intensity 100.0
- 32.3 deg, intensity 49.8
- 40.3 deg, intensity 74.7
- 41.8 deg, intensity 27.6
- 44.0 deg, intensity 41.0
- 50.6 deg, intensity 37.2
- 58.1 deg, intensity 16.7
- 60.4 deg, intensity 30.5

---

[3]
Calculated powder XRD pattern of Tb5Er4Tm2 for λ = 1.5418 Å (Cu Kα), from the PBE geometry in Alexandria.

Structure:
Cell: 6.5454 6.5454 9.1303 Å, 104.23 104.23 67.09°
Positions (direct):
Tb1 0.0000 0.0000 0.0000
Tb2 0.2110 0.6532 0.7251
Tb3 0.3468 0.7890 0.2749
Tb4 0.6532 0.2110 0.7251
Tb5 0.7890 0.3468 0.2749
Er1 0.3114 0.3114 0.9999
Er2 0.3327 0.3327 0.3803
Er3 0.6673 0.6673 0.6197
Er4 0.6886 0.6886 0.0001
Tm1 0.1458 0.1458 0.6193
Tm2 0.8542 0.8542 0.3807

Largest 10 diffraction maxima, sorted by position, 15° ≤ 2θ ≤ 90°:
- 30.1 deg, intensity 63.3
- 30.4 deg, intensity 55.2
- 30.5 deg, intensity 27.8
- 30.7 deg, intensity 42.9
- 32.1 deg, intensity 64.3
- 32.8 deg, intensity 73.8
- 33.5 deg, intensity 100.0
- 39.8 deg, intensity 23.9
- 50.5 deg, intensity 25.1
- 58.8 deg, intensity 20.3

---

[4]
Calculated powder XRD pattern of InHg2I2 for λ = 1.5418 Å (Cu Kα), from the PBE geometry in Alexandria.

Structure:
Cell: 10.4296 10.4296 8.9981 Å, 99.86 99.86 25.24°
Positions (direct):
In1 0.2185 0.2185 0.2283
In2 0.7815 0.7815 0.7717
Hg1 0.0279 0.0279 0.8736
Hg2 0.0693 0.0693 0.5985
Hg3 0.9307 0.9307 0.4015
Hg4 0.9721 0.9721 0.1264
I1 0.3463 0.3463 0.0309
I2 0.3629 0.3629 0.5522
I3 0.6371 0.6371 0.4478
I4 0.6537 0.6537 0.9691

Largest 10 diffraction maxima, sorted by position, 15° ≤ 2θ ≤ 90°:
- 20.0 deg, intensity 71.6
- 21.9 deg, intensity 81.0
- 23.6 deg, intensity 100.0
- 26.6 deg, intensity 73.3
- 29.0 deg, intensity 29.3
- 29.6 deg, intensity 55.5
- 37.1 deg, intensity 47.8
- 39.6 deg, intensity 70.3
- 39.9 deg, intensity 42.8
- 46.5 deg, intensity 33.5

---

[5]
Calculated powder XRD pattern of K2Hg3Ge2S8 for λ = 1.5418 Å (Cu Kα), from the PBE geometry in Alexandria.

Structure:
Cell: 6.5340 6.5340 9.8569 Å, 93.43 93.43 82.78°
Positions (direct):
K1 0.2170 0.2170 0.2308
K2 0.7830 0.7830 0.7692
Hg1 0.3095 0.6905 0.5000
Hg2 0.6287 0.3713 0.0000
Hg3 0.7924 0.2076 0.5000
Ge1 0.2563 0.2789 0.7265
Ge2 0.7211 0.7437 0.2735
S1 0.3090 0.6138 0.7422
~~~
(Written answer)
[1]
Calculated powder XRD pattern of Pd6Pt16Rh7 for λ = 1.5418 Å (Cu Kα), from the PBE geometry in Alexandria.

Structure:
Cell: 8.7771 8.7771 8.7771 Å, 60.00 60.00 60.00°
Positions (direct):
Pd1 0.2282 0.2282 0.7718
Pd2 0.2282 0.7718 0.2282
Pd3 0.2282 0.7718 0.7718
Pd4 0.7718 0.2282 0.2282
Pd5 0.7718 0.2282 0.7718
Pd6 0.7718 0.7718 0.2282
Pt1 0.1298 0.6234 0.6234
Pt2 0.1492 0.1492 0.1492
Pt3 0.1492 0.1492 0.5524
Pt4 0.1492 0.5524 0.1492
Pt5 0.3766 0.3766 0.3766
Pt6 0.3766 0.3766 0.8702
Pt7 0.3766 0.8702 0.3766
Pt8 0.4476 0.8508 0.8508
Pt9 0.5524 0.1492 0.1492
Pt10 0.6234 0.1298 0.6234
Pt11 0.6234 0.6234 0.1298
Pt12 0.6234 0.6234 0.6234
Pt13 0.8508 0.4476 0.8508
Pt14 0.8508 0.8508 0.4476
Pt15 0.8508 0.8508 0.8508
Pt16 0.8702 0.3766 0.3766
Rh1 0.0000 0.0000 0.5000
Rh2 0.0000 0.5000 0.0000
Rh3 0.0000 0.5000 0.5000
Rh4 0.5000 0.0000 0.0000
Rh5 0.5000 0.0000 0.5000
Rh6 0.5000 0.5000 0.0000
Rh7 0.5000 0.5000 0.5000

Largest 10 diffraction maxima, sorted by position, 15° ≤ 2θ ≤ 90°:
- 28.8 deg, intensity 17.1
- 37.7 deg, intensity 15.0
- 41.1 deg, intensity 100.0
- 43.1 deg, intensity 7.3
- 57.0 deg, intensity 6.8
- 59.6 deg, intensity 12.4
- 72.7 deg, intensity 6.0
- 75.0 deg, intensity 21.6
- 79.9 deg, intensity 7.1
- 89.3 deg, intensity 6.2

---

[2]
Calculated powder XRD pattern of NaLiCu2 for λ = 1.5418 Å (Cu Kα), from the PBE geometry in Alexandria.

Structure:
Cell: 9.2357 9.2357 9.2357 Å, 150.93 150.93 41.57°
Positions (direct):
Na1 0.3750 0.6250 0.7500
Na2 0.6250 0.3750 0.2500
Li1 0.1250 0.8750 0.2500
Li2 0.8750 0.1250 0.7500
Cu1 0.0000 0.0000 0.0000
Cu2 0.0000 0.0000 0.5000
Cu3 0.0000 0.5000 0.0000
Cu4 0.5000 0.0000 0.5000

Largest 10 diffraction maxima, sorted by position, 15° ≤ 2θ ≤ 90°:
- 19.8 deg, intensity 75.7
- 20.6 deg, intensity 65.8
- 24.7 deg, intensity 100.0
- 32.3 deg, intensity 49.8
- 40.3 deg, intensity 74.7
- 41.8 deg, intensity 27.6
- 44.0 deg, intensity 41.0
- 50.6 deg, intensity 37.2
- 58.1 deg, intensity 16.7
- 60.4 deg, intensity 30.5

---

[3]
Calculated powder XRD pattern of Tb5Er4Tm2 for λ = 1.5418 Å (Cu Kα), from the PBE geometry in Alexandria.

Structure:
Cell: 6.5454 6.5454 9.1303 Å, 104.23 104.23 67.09°
Positions (direct):
Tb1 0.0000 0.0000 0.0000
Tb2 0.2110 0.6532 0.7251
Tb3 0.3468 0.7890 0.2749
Tb4 0.6532 0.2110 0.7251
Tb5 0.7890 0.3468 0.2749
Er1 0.3114 0.3114 0.9999
Er2 0.3327 0.3327 0.3803
Er3 0.6673 0.6673 0.6197
Er4 0.6886 0.6886 0.0001
Tm1 0.1458 0.1458 0.6193
Tm2 0.8542 0.8542 0.3807

Largest 10 diffraction maxima, sorted by position, 15° ≤ 2θ ≤ 90°:
- 30.1 deg, intensity 63.3
- 30.4 deg, intensity 55.2
- 30.5 deg, intensity 27.8
- 30.7 deg, intensity 42.9
- 32.1 deg, intensity 64.3
- 32.8 deg, intensity 73.8
- 33.5 deg, intensity 100.0
- 39.8 deg, intensity 23.9
- 50.5 deg, intensity 25.1
- 58.8 deg, intensity 20.3

---

[4]
Calculated powder XRD pattern of InHg2I2 for λ = 1.5418 Å (Cu Kα), from the PBE geometry in Alexandria.

Structure:
Cell: 10.4296 10.4296 8.9981 Å, 99.86 99.86 25.24°
Positions (direct):
In1 0.2185 0.2185 0.2283
In2 0.7815 0.7815 0.7717
Hg1 0.0279 0.0279 0.8736
Hg2 0.0693 0.0693 0.5985
Hg3 0.9307 0.9307 0.4015
Hg4 0.9721 0.9721 0.1264
I1 0.3463 0.3463 0.0309
I2 0.3629 0.3629 0.5522
I3 0.6371 0.6371 0.4478
I4 0.6537 0.6537 0.9691

Largest 10 diffraction maxima, sorted by position, 15° ≤ 2θ ≤ 90°:
- 20.0 deg, intensity 71.6
- 21.9 deg, intensity 81.0
- 23.6 deg, intensity 100.0
- 26.6 deg, intensity 73.3
- 29.0 deg, intensity 29.3
- 29.6 deg, intensity 55.5
- 37.1 deg, intensity 47.8
- 39.6 deg, intensity 70.3
- 39.9 deg, intensity 42.8
- 46.5 deg, intensity 33.5

---

[5]
Calculated powder XRD pattern of K2Hg3Ge2S8 for λ = 1.5418 Å (Cu Kα), from the PBE geometry in Alexandria.

Structure:
Cell: 6.5340 6.5340 9.8569 Å, 93.43 93.43 82.78°
Positions (direct):
K1 0.2170 0.2170 0.2308
K2 0.7830 0.7830 0.7692
Hg1 0.3095 0.6905 0.5000
Hg2 0.6287 0.3713 0.0000
Hg3 0.7924 0.2076 0.5000
Ge1 0.2563 0.2789 0.7265
Ge2 0.7211 0.7437 0.2735
S1 0.3090 0.6138 0.7422